(What to do)
Restate everything further down with every line break kept.

(Input)
<<<
Record 1
Entry from the OMol25 dataset: a molecular structure, C5H12O3Yb at a distorted geometry (wB97M-V/def2-TZVPD).

XYZ file:
```
21
C5H12O3Yb (wB97M-V/def2-TZVPD)
C -4.54670 0.00183 -1.22169
O -4.25710 1.32362 -0.84674
H -3.64823 -0.53267 -1.58036
H -4.96451 -0.58616 -0.38585
H -5.28091 0.02065 -2.03781
H -3.81587 1.34677 0.06004
C -1.28468 0.26525 0.85489
O -0.09682 -0.13745 0.57333
C 0.72737 0.70741 -0.26529
C 2.16861 0.65367 0.16427
O 2.54451 -0.66843 0.49358
C 3.94945 -0.83557 0.60728
H -1.70897 -0.52790 1.50846
H 0.36002 1.73758 -0.19600
H 0.59134 0.33482 -1.28739
H 2.32787 1.31479 1.03328
H 2.78718 1.02424 -0.66922
H 4.13696 -1.88387 0.87260
H 4.43897 -0.60789 -0.35101
H 4.35191 -0.18249 1.39521
Yb 1.21961 -2.76823 1.27842
```

Calculated values
Calculated total energy in Ha: -1581.6700
2S+1: 2
Total charge: +1
Energy relative to the best compared isomer or geometry (same formula, charge and spin) in kJ/mol: 0.0
<S²>: 0.75

---

Record 2
Entry from the OMol25 dataset: a molecular structure, C4H6CrO3 at a distorted geometry (wB97M-V/def2-TZVPD).

XYZ file:
```
14
C4H6CrO3 (wB97M-V/def2-TZVPD)
O -0.80581 0.20840 0.89893
C -0.79561 -1.04765 0.50140
O -1.22704 -1.94683 1.19670
C -0.40655 1.30006 -0.04195
H -1.32746 1.90433 -0.11007
C 0.64781 2.12958 0.66846
H 0.33941 2.47386 1.67286
H 1.60039 1.58652 0.77633
H 0.85701 3.02309 0.05850
Cr 0.16084 0.27536 -1.87442
O 0.02839 -1.25532 -0.60234
C 0.38885 -2.50710 -1.25923
H -0.52657 -3.12228 -1.33139
H 1.06634 -3.02202 -0.55376
```

Calculated values
Calculated total energy in Ha: -1426.0186
2S+1: 5
Energy relative to the best compared isomer or geometry (same formula, charge and spin) in kJ/mol: 13.7
<S²>: 6.14

---

Record 3
Entry from the OMol25 dataset: a molecular structure, C38H50Cl2NO6P2V (wB97M-V/def2-TZVPD).

XYZ file:
```
100
C38H50Cl2NO6P2V (wB97M-V/def2-TZVPD)
V -0.49537 -1.67424 0.69697
C -1.15120 3.79178 3.21381
C -1.35433 2.59983 4.10944
C -1.66099 2.81471 5.44977
C -1.80460 1.76210 6.34181
C -1.61793 0.46112 5.90901
C -1.31380 0.22562 4.57630
C -1.21351 1.27347 3.66285
P -0.82675 0.75924 1.95346
C 0.54305 1.85891 1.46487
C 0.40578 2.78639 0.43844
C 1.46570 3.59155 0.06417
C 2.68364 3.46172 0.71091
C 2.83003 2.52998 1.72440
C 1.77316 1.71541 2.11884
C 1.97662 0.72695 3.23433
C -2.25264 1.20572 0.92500
C -3.38613 1.86888 1.38454
C -4.53353 1.94652 0.61051
C -4.54566 1.32535 -0.63503
C -3.43425 0.64333 -1.09011
C -2.25319 0.55664 -0.33257
C -1.10084 -0.22751 -0.77633
H -1.54454 4.69091 3.69159
H -1.63343 3.67392 2.24538
H -0.08915 3.94472 3.00991
H -1.77814 3.83533 5.79826
H -2.04952 1.96461 7.37841
H -1.70062 -0.37341 6.59318
H -1.11849 -0.78453 4.23545
H -0.53892 2.86066 -0.08718
H 1.35592 4.28583 -0.75843
H 3.53014 4.06193 0.40126
H 3.79350 2.40311 2.20695
H 3.02228 0.41745 3.27418
H 1.37048 -0.17448 3.11699
H 1.71684 1.16468 4.20333
H -3.39040 2.29841 2.37948
H -5.40943 2.46348 0.98238
H -5.43878 1.36091 -1.24974
H -3.46351 0.14055 -2.05046
H -0.17403 0.36163 -0.81474
H -1.24213 -0.64435 -1.77625
Cl 1.95800 -1.46570 0.70660
C 0.98789 -2.46180 -0.52711
H 1.34914 -3.48862 -0.47320
H 1.18987 -2.00544 -1.49525
C -1.55930 -3.96619 -1.56205
C -2.44008 -3.76289 -0.36916
C -3.60398 -4.43555 -0.08510
C -4.10363 -3.89075 1.12643
C -3.21456 -2.92145 1.52057
C -3.31040 -2.05126 2.73079
N -2.17591 -2.83509 0.62185
H -2.12173 -4.48711 -2.33984
H -0.67480 -4.56853 -1.33339
H -1.20563 -3.01895 -1.97043
H -4.04086 -5.21361 -0.69454
H -5.00727 -4.16113 1.65342
H -4.18198 -2.34759 3.31833
H -3.43140 -0.99369 2.47163
H -2.42907 -2.14569 3.36131
C -1.01923 0.84352 -4.97369
C 0.21942 1.56165 -4.44595
C -0.18529 2.54558 -3.35067
C 0.94468 2.27970 -5.58167
O 1.04198 0.51957 -3.92626
P 2.30382 0.78945 -2.92455
O 3.14296 1.92482 -3.42652
O 1.82309 0.77371 -1.51761
O 3.02717 -0.63884 -3.24563
C 4.42197 -0.85485 -3.04705
C 5.20636 -0.25157 -4.20877
C 4.57458 -2.37319 -3.02860
C 4.88545 -0.26866 -1.71486
H -1.72983 1.55790 -5.39731
H -1.50412 0.30403 -4.15985
H -0.73494 0.12623 -5.74549
>>>

(Outcome)
Record 1
Entry from the OMol25 dataset: a molecular structure, C5H12O3Yb at a distorted geometry (wB97M-V/def2-TZVPD).

XYZ file:
```
21
C5H12O3Yb (wB97M-V/def2-TZVPD)
C -4.54670 0.00183 -1.22169
O -4.25710 1.32362 -0.84674
H -3.64823 -0.53267 -1.58036
H -4.96451 -0.58616 -0.38585
H -5.28091 0.02065 -2.03781
H -3.81587 1.34677 0.06004
C -1.28468 0.26525 0.85489
O -0.09682 -0.13745 0.57333
C 0.72737 0.70741 -0.26529
C 2.16861 0.65367 0.16427
O 2.54451 -0.66843 0.49358
C 3.94945 -0.83557 0.60728
H -1.70897 -0.52790 1.50846
H 0.36002 1.73758 -0.19600
H 0.59134 0.33482 -1.28739
H 2.32787 1.31479 1.03328
H 2.78718 1.02424 -0.66922
H 4.13696 -1.88387 0.87260
H 4.43897 -0.60789 -0.35101
H 4.35191 -0.18249 1.39521
Yb 1.21961 -2.76823 1.27842
```

Calculated values
Calculated total energy in Ha: -1581.6700
2S+1: 2
Total charge: +1
Energy relative to the best compared isomer or geometry (same formula, charge and spin) in kJ/mol: 0.0
<S²>: 0.75

---

Record 2
Entry from the OMol25 dataset: a molecular structure, C4H6CrO3 at a distorted geometry (wB97M-V/def2-TZVPD).

XYZ file:
```
14
C4H6CrO3 (wB97M-V/def2-TZVPD)
O -0.80581 0.20840 0.89893
C -0.79561 -1.04765 0.50140
O -1.22704 -1.94683 1.19670
C -0.40655 1.30006 -0.04195
H -1.32746 1.90433 -0.11007
C 0.64781 2.12958 0.66846
H 0.33941 2.47386 1.67286
H 1.60039 1.58652 0.77633
H 0.85701 3.02309 0.05850
Cr 0.16084 0.27536 -1.87442
O 0.02839 -1.25532 -0.60234
C 0.38885 -2.50710 -1.25923
H -0.52657 -3.12228 -1.33139
H 1.06634 -3.02202 -0.55376
```

Calculated values
Calculated total energy in Ha: -1426.0186
2S+1: 5
Energy relative to the best compared isomer or geometry (same formula, charge and spin) in kJ/mol: 13.7
<S²>: 6.14

---

Record 3
Entry from the OMol25 dataset: a molecular structure, C38H50Cl2NO6P2V (wB97M-V/def2-TZVPD).

XYZ file:
```
100
C38H50Cl2NO6P2V (wB97M-V/def2-TZVPD)
V -0.49537 -1.67424 0.69697
C -1.15120 3.79178 3.21381
C -1.35433 2.59983 4.10944
C -1.66099 2.81471 5.44977
C -1.80460 1.76210 6.34181
C -1.61793 0.46112 5.90901
C -1.31380 0.22562 4.57630
C -1.21351 1.27347 3.66285
P -0.82675 0.75924 1.95346
C 0.54305 1.85891 1.46487
C 0.40578 2.78639 0.43844
C 1.46570 3.59155 0.06417
C 2.68364 3.46172 0.71091
C 2.83003 2.52998 1.72440
C 1.77316 1.71541 2.11884
C 1.97662 0.72695 3.23433
C -2.25264 1.20572 0.92500
C -3.38613 1.86888 1.38454
C -4.53353 1.94652 0.61051
C -4.54566 1.32535 -0.63503
C -3.43425 0.64333 -1.09011
C -2.25319 0.55664 -0.33257
C -1.10084 -0.22751 -0.77633
H -1.54454 4.69091 3.69159
H -1.63343 3.67392 2.24538
H -0.08915 3.94472 3.00991
H -1.77814 3.83533 5.79826
H -2.04952 1.96461 7.37841
H -1.70062 -0.37341 6.59318
H -1.11849 -0.78453 4.23545
H -0.53892 2.86066 -0.08718
H 1.35592 4.28583 -0.75843
H 3.53014 4.06193 0.40126
H 3.79350 2.40311 2.20695
H 3.02228 0.41745 3.27418
H 1.37048 -0.17448 3.11699
H 1.71684 1.16468 4.20333
H -3.39040 2.29841 2.37948
H -5.40943 2.46348 0.98238
H -5.43878 1.36091 -1.24974
H -3.46351 0.14055 -2.05046
H -0.17403 0.36163 -0.81474
H -1.24213 -0.64435 -1.77625
Cl 1.95800 -1.46570 0.70660
C 0.98789 -2.46180 -0.52711
H 1.34914 -3.48862 -0.47320
H 1.18987 -2.00544 -1.49525
C -1.55930 -3.96619 -1.56205
C -2.44008 -3.76289 -0.36916
C -3.60398 -4.43555 -0.08510
C -4.10363 -3.89075 1.12643
C -3.21456 -2.92145 1.52057
C -3.31040 -2.05126 2.73079
N -2.17591 -2.83509 0.62185
H -2.12173 -4.48711 -2.33984
H -0.67480 -4.56853 -1.33339
H -1.20563 -3.01895 -1.97043
H -4.04086 -5.21361 -0.69454
H -5.00727 -4.16113 1.65342
H -4.18198 -2.34759 3.31833
H -3.43140 -0.99369 2.47163
H -2.42907 -2.14569 3.36131
C -1.01923 0.84352 -4.97369
C 0.21942 1.56165 -4.44595
C -0.18529 2.54558 -3.35067
C 0.94468 2.27970 -5.58167
O 1.04198 0.51957 -3.92626
P 2.30382 0.78945 -2.92455
O 3.14296 1.92482 -3.42652
O 1.82309 0.77371 -1.51761
O 3.02717 -0.63884 -3.24563
C 4.42197 -0.85485 -3.04705
C 5.20636 -0.25157 -4.20877
C 4.57458 -2.37319 -3.02860
C 4.88545 -0.26866 -1.71486
H -1.72983 1.55790 -5.39731
H -1.50412 0.30403 -4.15985
H -0.73494 0.12623 -5.74549